The reader should filter the calculation results below: keep the lines with the word "Ho5ZrN6".
# VCl2F5 (GGA+U, optimized geometry)
data_VCl2F5
_chemical_formula_sum 'V1 Cl2 F5'
_space_group_name_H-M_alt 'P 1'
_space_group_IT_number 1
_cell_length_a 4.986
_cell_length_b 5.885
_cell_length_c 7.038
_cell_angle_alpha 81.16
_cell_angle_beta 72.20
_cell_angle_gamma 66.04
loop_
_space_group_symop_operation_xyz
'x,y,z'
loop_
_atom_site_label
_atom_site_fract_x
_atom_site_fract_y
_atom_site_fract_z
V1 0.000 0.000 0.000
Cl1 0.356 0.420 0.506
Cl2 0.661 0.574 0.466
F1 0.018 0.049 0.741
F2 0.026 0.288 0.001
F3 0.321 0.723 0.948
F4 0.638 0.990 0.052
F5 0.985 0.951 0.259
# E_tot: -4.38 eV/atom
# V: 22.4 Å³ per atom

~~~~~

No. 1
Material: Ho5ZrN6
Method: DFT, GGA-PBE
State: relaxed

## Properties
The formation energy from raw total energies comes out at -1.7643 eV/atom. Its crystal system is monoclinic. The final energy is -8.547 eV/atom. As for the total magnetic moment: 0.00 μB per atom.

Cell lengths 5.9045, 5.9045, 5.9067 Å; angles 99.60, 99.60, 119.98 degrees
With the nearest neighbours (Å) after each atom.
Sites, in units of the cell vectors:
1 Ho 0.0000 0.0000 0.0000  6 N 2.41-2.49
2 Ho 0.1667 0.8333 0.5000  6 N 2.42
3 Ho 0.3338 0.6662 0.0000  6 N 2.40-2.49
4 Ho 0.6662 0.3338 0.0000  6 N 2.40-2.49
5 Ho 0.8333 0.1667 0.5000  6 N 2.42
6 Zr 0.5000 0.5000 0.5000  6 N 2.33-2.34
7 N 0.0971 0.4189 0.2569  1 Zr 2.33, 5 Ho 2.41-2.49
8 N 0.2593 0.2593 0.7439  1 Zr 2.34, 5 Ho 2.40-2.49
9 N 0.4189 0.0971 0.2569  1 Zr 2.33, 5 Ho 2.41-2.49
10 N 0.5811 0.9029 0.7431  1 Zr 2.33, 5 Ho 2.41-2.49
11 N 0.7407 0.7407 0.2561  1 Zr 2.34, 5 Ho 2.40-2.49
12 N 0.9029 0.5811 0.7431  1 Zr 2.33, 5 Ho 2.41-2.49

=====

No. 2
Material: Mg2AlFe
Method: DFT, GGA-PBE
State: relaxed

## Properties
Its energy of formation is 0.4 eV per formula unit. Its crystal system is tetragonal. The final energy is -3.742 eV/atom. As for the total magnetic moment: 0.57 μB per atom.

Cell lengths 3.9898, 3.9898, 4.1813 Å; angles 90.00, 90.00, 90.00 degrees
With the nearest neighbours (Å) after each atom.
Sites, in units of the cell vectors:
1 Mg 0.0000 0.5000 0.0000  4 Mg 2.82, 4 Fe 2.89, 4 Al 2.89
2 Mg 0.5000 0.0000 0.0000  4 Mg 2.82, 4 Fe 2.89, 4 Al 2.89
3 Al 0.0000 0.0000 0.5000  4 Fe 2.82, 8 Mg 2.89
4 Fe 0.5000 0.5000 0.5000  4 Al 2.82, 8 Mg 2.89
Material: Ho5ZrN6